How your state representative voted on H.B. 1948 to stop Dismemberment Abortion A bill in the General Assembly, H.B. 1948, will lower the maximum age for an elective abortion in Pennsylvania from 24 weeks to 20 weeks and stop the inhuman practice of Dismemberment Abortion, where the baby being aborted is killed by tearing off his or her arms and legs. H.B. 1948 was passed by the Pennsylvania House of Representatives on June 21, 2016 by a vote of 132-65 (a nearly two-thirds majority). The bill was then referred to the Pennsylvania Senate Judiciary Committee on June 23. In recent months, six states have enacted bans on dismemberment abortion. Legislation to stop this grisly procedure was most recently signed into law by Louisiana Governor John Bel Edwards, a democrat. Also in recent months, 14 states have enacted bans on elective abortion after 20 weeks gestation. Here is how our northwestern Pennsylvania state representatives voted on H.B. 1948 (pro-life = YES / pro-abortion = NO):
The text is interrupted by materials data
____________
1.
The following is a simulated X-ray powder pattern of Cu2Hg2S3. It was derived from DFT lattice parameters and positions (PBE), using λ = 1.5418 Å (Cu Kα).
Kinematic intensities with the Lorentz-polarization factor, no thermal factor.

```
data_Cu2Hg2S3
_chemical_formula_sum 'Cu4 Hg4 S6'
_cell_length_a 7.3926
_cell_length_b 6.5228
_cell_length_c 6.6609
_cell_angle_alpha 90.00
_cell_angle_beta 116.72
_cell_angle_gamma 90.00
_symmetry_space_group_name_H-M 'P 1 21/c 1'
_symmetry_Int_Tables_number 14
loop_
_symmetry_equiv_pos_as_xyz
'x,y,z'
'-x,-y,-z'
'-x,y+1/2,-z+1/2'
'x,-y+1/2,z+1/2'
loop_
_atom_site_label
_atom_site_type_symbol
_atom_site_fract_x
_atom_site_fract_y
_atom_site_fract_z
Cu1 Cu 0.1618 0.0862 0.2130
Hg1 Hg 0.3333 0.6547 0.2634
S1 S 0.1220 0.1022 0.8461
S2 S 0.5000 0.0000 0.5000
```

Largest 12 diffraction maxima, sorted by position, 15 to 90 degrees two-theta:
| d [Å] | I (rel.) | (hkl) |
| --- | --- | --- |
| 4.641 | 44 | 1 1 0 |
| 3.200 | 36 | 2 1 -1 |
| 2.972 | 100 | 0 0 2 |
| 2.946 | 59 | 2 1 0 |
| 2.860 | 81 | 0 2 1 |
| 2.705 | 31 | 2 1 -2 |
| 2.438 | 30 | 2 2 -1 |
| 2.042 | 21 | 1 3 -1 |
| 1.871 | 22 | 2 3 -1 |
| 1.818 | 20 | 2 2 -3 |
| 1.768 | 24 | 2 1 2 |
| 1.694 | 21 | 0 2 3 |

2.
The following is a simulated X-ray powder pattern of Hf3TaTi2Sn3. It was derived from DFT lattice parameters and positions (PBE), using λ = 1.5418 Å (Cu Kα).
Kinematic intensities with the Lorentz-polarization factor, no thermal factor.

```
data_Hf3TaTi2Sn3
_chemical_formula_sum 'Hf3 Ta1 Ti2 Sn3'
_cell_length_a 8.3292
_cell_length_b 8.3292
_cell_length_c 3.0728
_cell_angle_alpha 90.00
_cell_angle_beta 90.00
_cell_angle_gamma 120.00
_symmetry_space_group_name_H-M 'P -6 2 m'
_symmetry_Int_Tables_number 189
_symmetry_space_group_name_Hall 'P -6 -2'
loop_
_atom_site_label
_atom_site_type_symbol
_atom_site_fract_x
_atom_site_fract_y
_atom_site_fract_z
Hf1 Hf 0.0000 0.7050 0.0000
Ta1 Ta 0.0000 0.0000 0.5000
Ti1 Ti 0.3333 0.6667 0.0000
Sn1 Sn 0.0000 0.3702 0.5000
```

Largest 12 diffraction maxima, sorted by position, 15 to 90 degrees two-theta:
| d [Å] | I (rel.) | (hkl) |
| --- | --- | --- |
| 4.165 | 13 | 1 1 0 |
| 2.726 | 22 | 2 1 0 |
| 2.473 | 100 | 1 1 1 |
| 2.404 | 86 | 3 0 0 |
| 2.339 | 31 | 2 0 1 |
| 2.039 | 19 | 2 1 1 |
| 2.001 | 10 | 3 1 0 |
| 1.724 | 24 | 2 2 1 |
| 1.457 | 25 | 3 2 1 |
| 1.401 | 16 | 4 1 1 |
| 1.306 | 11 | 5 0 1 |
| 1.295 | 31 | 3 0 2 |

3.
The following is a simulated X-ray powder pattern of Tb3IrRh2. It was derived from DFT lattice parameters and positions (PBE), using λ = 1.5418 Å (Cu Kα).
Kinematic intensities with the Lorentz-polarization factor, no thermal factor.

```
data_Tb3IrRh2
_chemical_formula_sum 'Tb6 Ir2 Rh4'
_cell_length_a 4.8702
_cell_length_b 4.8702
_cell_length_c 11.9041
_cell_angle_alpha 90.00
_cell_angle_beta 90.00
_cell_angle_gamma 120.00
_symmetry_space_group_name_H-M 'P -3 m 1'
_symmetry_Int_Tables_number 164
_symmetry_space_group_name_Hall '-P 3 2"'
loop_
_atom_site_label
_atom_site_type_symbol
____________
End of the materials data

Rep. Ryan A. Bizzarro, District 3 — PRO-ABORTION Rep. Ted C. Nesbit, District 8 — PRO-LIFE Rep. Florindo J. "Flo" Fabrizio, District 2 — PRO-ABORTION Rep. (prime sponsor), District 65 — PRO-LIFE Rep. Patrick J. "Pat" Harkins, District 1 — PRO-ABORTION Rep. , District 6 — PRO-LIFE Rep. , District 64 — PRO-LIFE Rep. , District 4 — PRO-LIFE Rep. , District 7 — PRO-LIFE Rep. Park Wentling, District 17 — PRO-LIFE Please contact your state representative and express your appreciation or disappointment and please contact your state senator with the message: Support H.B. 1948, the Dismemberment Abortion Ban. www.PeopleforLife.Life «

How your state representative voted on H.B. 1948 to stop Dismemberment Abortion A bill in the Pennsylvania General Assembly, H.B. 1948, will lower the maximum age for an elective abortion in Pennsylvania from 24 weeks to 20 weeks and stop the inhuman practice of Dismemberment Abortion, where the baby being aborted is killed by tearing off his or her arms and legs. H.B. 1948 was passed by the Pennsylvania House of Representatives on June 21, 2016 by a vote of 132-65 (a nearly two-thirds majority). The bill was then referred to the Pennsylvania Senate Judiciary Committee on June 23. In recent months, six states have enacted bans on dismemberment abortion. Legislation to stop this grisly procedure was most recently signed into law by Louisiana Governor John Bel Edwards, a democrat. Also in recent months, 14 states have enacted bans on elective abortion after 20 weeks gestation. Here is how our northwestern Pennsylvania state representatives voted on H.B. 1948 (pro-life = YES / pro-abortion = NO):
What comes next are materials data, not part of the text
Structure and simulated PXRD pattern of Na2TaInSi2SO12 (the GGA-PBE geometry in the Materials Project; Cu Kα (λ = 1.5418 Å)).

Main lines, sorted by position (2θ from 5° to 70°):
d/Å, Rel. int.
6.502, 36
4.615, 100
4.569, 37
4.512, 78
3.251, 33
3.197, 19
2.923, 60
2.893, 32
2.628, 45
1.813, 18

Crystal structure
abc: 9.026 9.026 9.258
angles: 119.46 119.46 60.83
Positions (direct):
Na 0.049 0.951 0.500
Na 0.323 0.829 0.235
Na 0.829 0.323 0.735
Na 0.951 0.049 0.000
Ta 0.466 0.965 0.689
Ta 0.965 0.466 0.189
In 0.158 0.676 0.804
In 0.676 0.158 0.304
Si 0.073 0.277 0.501
Si 0.277 0.073 0.001
Si 0.776 0.865 0.507
Si 0.865 0.776 0.007
S 0.361 0.574 0.502
S 0.574 0.361 0.002
O 0.038 0.314 0.323
O 0.049 0.745 0.992
O 0.088 0.253 0.023
O 0.122 0.436 0.676
O 0.195 0.546 0.344
O 0.246 0.903 0.987
O 0.253 0.088 0.523
O 0.314 0.038 0.823
O 0.342 0.602 0.662
O 0.365 0.746 0.513
O 0.430 0.525 0.978
O 0.436 0.122 0.176
O 0.525 0.430 0.478
O 0.546 0.195 0.844
O 0.596 0.878 0.527
O 0.602 0.342 0.162
O 0.678 0.831 0.838
O 0.745 0.049 0.492
O 0.746 0.365 0.013
O 0.831 0.678 0.338
O 0.857 0.949 0.182
O 0.878 0.596 0.027
O 0.903 0.246 0.487
O 0.949 0.857 0.682

~~~~~

Record 1
Starting from a DFT-relaxed cell (PBE, Alexandria), the X-ray diffraction stick pattern of KSn2Br6 was simulated for Cu Kα (weighted mean of Kα1 and Kα2).
Kinematic intensities with the Lorentz-polarization factor, no thermal factor.

Structure:
Cell lengths 13.8992, 5.5184, 10.7413 Å; angles 90.00, 117.88, 90.00 degrees
Space group C2/m (No. 12)
Unique sites:
K (0.0000, 0.0000, 0.0000) (multiplicity 2)
Sn (0.1826, 0.0000, 0.6425) (multiplicity 4)
Br (0.0114, 0.0000, 0.6906) (multiplicity 4)
Br (0.1643, 0.5000, 0.0878) (multiplicity 4)
Br (0.1950, 0.5000, 0.5989) (multiplicity 4)

Principal peaks in the range 15° ≤ 2θ ≤ 90°, most intense first:
- (1 1 -1), 18.30 deg, I = 100
- (0 2 0), 32.45 deg, I = 99
- (4 0 -2), 26.17 deg, I = 96
- (5 1 -3), 37.95 deg, I = 76
- (2 0 -2), 17.47 deg, I = 69
- (2 0 2), 28.64 deg, I = 67

***

Record 2
Starting from a DFT-relaxed cell (PBE, Alexandria), the X-ray diffraction stick pattern of K2SnBr4 was simulated for Cu Kα (weighted mean of Kα1 and Kα2).
Kinematic intensities with the Lorentz-polarization factor, no thermal factor.

Structure:
Cell lengths 5.8278, 5.8278, 16.9085 Å; angles 90.00, 90.00, 90.00 degrees
Space group I4/mmm (No. 139)
Unique sites:
K (0.0000, 0.0000, 0.1373) (multiplicity 4)
Sn (0.0000, 0.0000, 0.5000) (multiplicity 2)
Br (0.0000, 0.0000, 0.3260) (multiplicity 4)
Br (0.0000, 0.5000, 0.0000) (multiplicity 4)

Principal peaks in the range 15° ≤ 2θ ≤ 90°, most intense first:
- (2 0 0), 30.68 deg, I = 100
- (2 2 0), 43.90 deg, I = 73
- (1 0 1), 16.09 deg, I = 66
- (2 0 6), 44.74 deg, I = 56
- (1 0 5), 30.56 deg, I = 50
- (0 0 6), 31.75 deg, I = 37

***

Record 3
Starting from a DFT-relaxed cell (PBE, Alexandria), the X-ray diffraction stick pattern of KSr2SnBr8 was simulated for Cu Kα (weighted mean of Kα1 and Kα2).
End of the materials data

Rep. Ryan A. Bizzarro, District 3 — PRO-ABORTION Rep. Ted C. Nesbit, District 8 — PRO-LIFE Rep. Florindo J. "Flo" Fabrizio, District 2 — PRO-ABORTION Rep. Kathy Rapp (prime sponsor), District 65 — PRO-LIFE Rep. Patrick J. "Pat" Harkins, District 1 — PRO-ABORTION Rep. Brad Roae, District 6 — PRO-LIFE Rep. Lee James, District 64 — PRO-LIFE Rep. Curt Sonney, District 4 — PRO-LIFE Rep. Mark Longietti, District 7 — PRO-LIFE Rep. Park Wentling, District 17 — PRO-LIFE Please contact your state representative and express your appreciation or disappointment and please contact your state senator with the message: Support H.B. 1948, the Dismemberment Abortion Ban. www.PeopleforLife.Life «